maybe you can help me out.
currently I have a button-card template using the full canvas which gets a filter based on the state of an entity:
- styles_menu_tooltip
aspect_ratio: 1/1
# tooltip: >
# [[[ return variables.tooltip; ]]]
action: navigate
navigation_path: >
[[[ return variables.path; ]]]
action: toggle #call-service
# service: light.toggle
# service_data:
# entity_id: entity
entity_picture: >
[[[ return "/local/images/areas/" + variables.picture; ]]]
size: 140%
show_name: false
show_icon: false
show_entity_picture: true
- padding: 0px
# - background-image: >
# [[[ return `url("/local/images/areas/${variables.picture}")`; ]]]
# - background-size: cover
# - background-repeat: no-repeat
# - border-bottom: 4rem solid transparent
- filter: >
[[[ if (entity.state == 'off' || entity.state == 'unavailable') return 'grayscale(100%)';
return 'grayscale(0%)'; ]]]
Ive set the filter to the entity_picture, because if it was set to the background, the whole button, including its entities would get greyedā¦
its displayed on the left button.
Next, a minimalistic-area-card, is used, with some extra entities, but they are a but small, and, Ive had to figure out some more complex templating. Because of this, its a bit more difficult to throw that inside a decluttering template (which has an extra issue resizing the button to a banner really)
that gave me the idea to test the custom banner card, because I liked the idea of the overlay, in whihc some of these entities are displayed. its in the right. Ofc this is also not the right size, but I want that overlay section in my button-card. probably need a grid for that:
this section is in a grid: 4 columns, but that is of minor importance, other than its odd the right side card isnt squared, as the default is for grid.
- type: custom:button-card
entity: light.laundry_ceiling
template: plattegrond
path: /ui-sub-views/bijkeuken
picture: bijkeuken_klein.jpg
tooltip: Bijkeuken
- border-top: >
[[[ return (states['binary_sensor.laundry_sensor_motion'].state == 'on')
? '0.5rem solid red' : 'none'; ]]]
- type: custom:minimalistic-area-card
style: |
ha-card {
filter: {{'grayscale(0%)' if
(is_state('light.laundry_ceiling','on') or
else 'grayscale(100%)'}};
border-top: {{'1rem solid red' if is_state('binary_sensor.laundry_sensor_motion','on')
else 'none'}};
# title: Laundry
image: /local/images/areas/bijkeuken_square.jpg
shadow: false
action: navigate
navigation_path: /ui-sub-views/bijkeuken
action: call-service
service: light.toggle
entity_id: light.laundry_ceiling
- entity: sensor.laundry_sensor_temperature
- entity: sensor.laundry_sensor_illuminance
# - switch.tester
# - entity: sensor.hallway_temperature
- type: custom:banner-card
style: |
ha-card {
filter: {{'grayscale(0%)' if
(is_state('light.laundry_ceiling','on') or
else 'grayscale(100%)'}};
border-top: {{'1rem solid red' if is_state('binary_sensor.laundry_sensor_motion','on')
else 'none'}};
background: 'url("/local/images/areas/bijkeuken_klein.jpg")'
heading: Bijkeuken
link: /ui-sub-views/bijkeuken
- entity: sensor.laundry_sensor_temperature
name: Temp
- entity: sensor.laundry_sensor_illuminance
name: Lux
- entity: binary_sensor.laundry_sensor_motion
name: Motion
## Between two parts of the entry: materials data
- - -
Simulated XRD peak list
Compound: V2CoH8O10
Radiation: Cu Kα (weighted mean of Kα1 and Kα2)
Structure: DFT lattice parameters and positions (GGA+U)

Crystal structure
Unit cell a=8.388 b=8.388 c=7.117 alpha=106.10 beta=106.10 gamma=72.17
Positions (direct):
V  0.084  0.121  0.190
V  0.121  0.084  0.690
V  0.879  0.916  0.310
V  0.916  0.879  0.810
Co  0.000  0.500  0.000
Co  0.500  0.000  0.500
H  0.148  0.434  0.425
H  0.168  0.559  0.634
H  0.267  0.539  0.285
H  0.342  0.405  0.102
H  0.405  0.342  0.602
H  0.434  0.148  0.925
H  0.441  0.832  0.866
H  0.461  0.733  0.215
H  0.539  0.267  0.785
H  0.559  0.168  0.134
H  0.566  0.852  0.075
H  0.595  0.658  0.398
H  0.658  0.595  0.898
H  0.733  0.461  0.715
H  0.832  0.441  0.366
H  0.852  0.566  0.575
O  0.007  0.335  0.198
O  0.022  0.092  0.416
O  0.084  0.295  0.790
O  0.092  0.022  0.916
O  0.231  0.491  0.528
O  0.250  0.510  0.138
O  0.295  0.084  0.290
O  0.335  0.007  0.698
O  0.490  0.750  0.362
O  0.491  0.231  0.028
O  0.509  0.769  0.972
O  0.510  0.250  0.638
O  0.665  0.993  0.302
O  0.705  0.916  0.710
O  0.750  0.490  0.862
O  0.769  0.509  0.472
O  0.908  0.978  0.084
O  0.916  0.705  0.210
O  0.978  0.908  0.584
O  0.993  0.665  0.802

Peak list (10 most intense, 10° ≤ 2θ ≤ 80°, by angle)
d (Å), 2θ (°), intensity
7.807, 11.33, 100
6.367, 13.91, 13
5.705, 15.53, 18
4.620, 19.21, 16
3.903, 22.78, 32
3.187, 27.99, 26
3.059, 29.20, 29
2.862, 31.25, 14
2.768, 32.34, 12
2.676, 33.49, 14


Structure and computed X-ray diffraction stick pattern of Ac5Sn4 (a structure optimized by DFT (GGA-PBE); Cu Kα (λ = 1.5418 Å)).
Peak positions follow from Bragg's law for the DFT cell and can differ from measured ones.

Crystal structure
a b c (Å): 6.7033 6.7033 11.4495
angles (deg): 110.98 110.98 44.00
Element x y z (fractional)
Ac  0.0000  0.0000  0.0000
Ac  0.0967  0.0967  0.3900
Ac  0.2480  0.2480  0.8342
Ac  0.7520  0.7520  0.1658
Ac  0.9033  0.9033  0.6100
Sn  0.3721  0.3721  0.3902
Sn  0.4524  0.4524  0.1665
Sn  0.5476  0.5476  0.8335
Sn  0.6279  0.6279  0.6098

Top 12 peaks for 2θ = 10–90°, in order of falling intensity:
two_theta, I/Imax
27.62, 100
27.92, 79
29.46, 58
35.76, 53
32.45, 48
28.97, 38
33.06, 36
46.66, 29
24.02, 26
55.02, 22
42.81, 19
27.02, 19

***

Structure and computed X-ray diffraction stick pattern of K2U3Te2O14 (a structure optimized by DFT (GGA-PBE); Cu Kα (λ = 1.5418 Å)).
Peak positions follow from Bragg's law for the DFT cell and can differ from measured ones.

Crystal structure
a b c (Å): 7.0099 7.1165 8.1407
angles (deg): 106.41 102.14 97.55
Element x y z (fractional)
K  0.2030  0.3967  0.3441
K  0.7970  0.6033  0.6559
U  0.1021  0.1652  0.7405
U  0.5000  0.0000  0.5000
U  0.8979  0.8348  0.2595
Te  0.3368  0.6755  0.0085
Te  0.6632  0.3245  0.9915
O  0.1063  0.9478  0.8207
O  0.1125  0.3948  0.6711
O  0.1333  0.7358  0.1253
O  0.1797  0.0038  0.4761
O  0.3163  0.4101  0.0239
O  0.4635  0.1795  0.7750
O  0.4696  0.7636  0.5547
O  0.5304  0.2364  0.4453
- - -
long story short:
how can I set the grid section on my top button-card template, so it is grayed like in the banner card, using background: rgba(0, 0, 0, 0.3);
, showing some (2 or 3) of the entities, preferably with an icon and not name.
what these do:
tap: navigate to are subview
hold: toggle main entity set on either card
change filter on state of main entity: off=gray, on=color
show top border red if motion is detected.
Aware I have a button with grids, like the example on button-card for the RPI with all of its entities. However, this is a very different grid on the button.
Hope this makes sense, would welcome any feedback you could provide
Guess a first step would be to add a grid to the button card for the 2 horizontal sections, where the top is as is (dont need even a title there) and the bottom section is with the overlay, and max 3 spots for an entity
how would that translate to something like:
- grid-template-columns: repeat(3, 1fr);
- grid-template-rows: 2fr 1fr;
- grid-column-gap: 0px;
- grid-row-gap: 0px;
# - position: relative
made on
would I need
- grid-template-areas: '"area area area" "temp humid motion"'
so it uses the top section for Area only and then the bottom section for the 3 sensors max?